BUSY is not a BADGE!

Dec 13, 2021 7:43 pm

Busyness is blinding.

Has someone ever asked you how are things are going.. and you respond "I am really busy..."

Or you ask that question to others and they respond that way....


Probably happens more times than you even realize.

I swear people feel like they are getting a Pokemon badge or some shit for saying how busy they are.


Here is a fun fact, the wealthiest people on this planet, they aren't the ones with the most amount of zero's in their bank accounts.

The wealthiest people have the time and freedom to spend with their family/friends.

They have the ability to work on their passions every day.

They can travel and experience new things whenever they want.

They spend a lot of their days in a flow state around what they love to do while here on this earth.

And they get there by realizing the opposite of "busy" is the real goal.




I used to be the busy bee.

And while I still "do" a lot during a typical day, I refuse to spend my time in ways that are not productive to my mission.

I want to help you achieve the same thing!!!

But "CJ I have so many text messages to answer, people to call back, emails to respond to..."

Another fun fact...

right now I have 104 unread texts.

20+ unread dms from the 5 + accounts I help manage.

my gmail icon is at 2403 unread emails because I refuse to open a lot of them.

And I am not bullshitting. Those around me have seen my phone and mention that stresses them out lol.


I am not busy though.

"Busy" is a decision.

And as soon as I started to decide that it was a choice, rather than something "successful" people must go through... my life became a lot better.

I answer the messages I want to answer. Most go unread and unanswered because if you really needed me you would call.

I work on the projects I want to work on, not the projects that I "feel" will get me somewhere in the future.

I hang around the people I want to hang around based on who inspires me to be a better human. Not who I think can "do something for me."

And then I say NO to everything else.

The saying "no" part is what I have found to be the biggest struggle for everyone I coach and consult.

Which causes me to then reflect and ask "why does everyone struggle so much to say no?"

My conclusion, attention is a drug.

Feeling wanted/needed is a drug.

Pleasing others is a drug.

Being "liked" is a drug.

And if you aren't careful, this drug will literally cause you to become a completely different human. In some cases, it literally takes life away from people.

My solution?

Start from zero.

Attached: materials data:
1.
Ac4FeI6: calculated X-ray diffraction stick pattern (copper Kα), based on a GGA-PBE-relaxed structure.
Lines closer than 0.1° are merged.

Cell and atoms:
```
data_Ac4FeI6
_chemical_formula_sum 'Ac8 Fe2 I12'
_cell_length_a 10.9510
_cell_length_b 10.9510
_cell_length_c 8.5070
_cell_angle_alpha 90.00
_cell_angle_beta 90.00
_cell_angle_gamma 120.00
_symmetry_space_group_name_H-M 'P 1'
_symmetry_Int_Tables_number 1
_symmetry_space_group_name_Hall 'P 1'
loop_
_atom_site_label
_atom_site_type_symbol
_atom_site_fract_x
_atom_site_fract_y
_atom_site_fract_z
Ac1 Ac 0.2069 0.4138 0.0000
Ac2 Ac 0.2069 0.7931 0.0000
Ac3 Ac 0.3333 0.6667 0.5965
Ac4 Ac 0.4138 0.2069 0.5000
Ac5 Ac 0.5862 0.7931 0.0000
Ac6 Ac 0.6667 0.3333 0.0965
Ac7 Ac 0.7931 0.2069 0.5000
Ac8 Ac 0.7931 0.5862 0.5000
Fe1 Fe 0.3333 0.6667 0.9352
Fe2 Fe 0.6667 0.3333 0.4352
I1 I 0.0653 0.5326 0.3132
I2 I 0.1425 0.2849 0.6203
I3 I 0.1425 0.8575 0.6203
I4 I 0.2849 0.1425 0.1203
I5 I 0.4674 0.5326 0.3132
I6 I 0.4674 0.9347 0.3132
I7 I 0.5326 0.0653 0.8132
I8 I 0.5326 0.4674 0.8132
I9 I 0.7151 0.8575 0.6203
I10 I 0.8575 0.1425 0.1203
I11 I 0.8575 0.7151 0.1203
I12 I 0.9347 0.4674 0.8132
```

Most intense lines, 2θ from 10° to 80°, sorted by position:
2θ (°)	intensity	h k l
20.88	20.3	0 0 2
21.45	33.3	2 0 1
26.99	74.2	2 1 1
28.19	100.0	2 0 2
30.16	85.5	3 0 1
32.69	92.6	2 2 0
32.97	41.2	1 0 3
36.94	23.8	2 0 3
49.86	21.3	2 1 4
49.97	19.2	3 3 0
53.05	42.1	3 2 3
75.69	19.1	7 1 0


2.
AcFe3I12: calculated X-ray diffraction stick pattern (copper Kα), based on a GGA-PBE-relaxed structure.
Lines closer than 0.1° are merged.

Cell and atoms:
```
data_AcFe3I12
_chemical_formula_sum 'Ac2 Fe6 I24'
_cell_length_a 14.1527
_cell_length_b 14.1527
_cell_length_c 8.6606
_cell_angle_alpha 90.00
_cell_angle_beta 90.00
_cell_angle_gamma 120.00
_symmetry_space_group_name_H-M 'P 1'
_symmetry_Int_Tables_number 1
_symmetry_space_group_name_Hall 'P 1'
loop_
_atom_site_label
_atom_site_type_symbol
_atom_site_fract_x
_atom_site_fract_y
_atom_site_fract_z
Ac1 Ac 0.3333 0.6667 0.2500
Ac2 Ac 0.6667 0.3333 0.7500
Fe1 Fe 0.1007 0.7012 0.7500
Fe2 Fe 0.2988 0.3994 0.7500
Fe3 Fe 0.3994 0.1007 0.2500
Fe4 Fe 0.6006 0.8993 0.7500
Fe5 Fe 0.7012 0.6006 0.2500
Fe6 Fe 0.8993 0.2988 0.2500
I1 I 0.0046 0.8083 0.7500
I2 I 0.0242 0.5052 0.2500
I3 I 0.1917 0.1963 0.7500
I4 I 0.1963 0.0046 0.2500
I5 I 0.2288 0.7678 0.5094
I6 I 0.2288 0.7678 0.9906
I7 I 0.2322 0.4610 0.5094
I8 I 0.2322 0.4610 0.9906
I9 I 0.4610 0.2288 0.0094
I10 I 0.4610 0.2288 0.4906
I11 I 0.4811 0.9758 0.2500
I12 I 0.4948 0.5189 0.2500
I13 I 0.5052 0.4811 0.7500
I14 I 0.5189 0.0242 0.7500
I15 I 0.5390 0.7712 0.5094
I16 I 0.5390 0.7712 0.9906
I17 I 0.7678 0.5390 0.0094
I18 I 0.7678 0.5390 0.4906
I19 I 0.7712 0.2322 0.0094
I20 I 0.7712 0.2322 0.4906
I21 I 0.8037 0.9954 0.7500
I22 I 0.8083 0.8037 0.2500
I23 I 0.9758 0.4948 0.7500
I24 I 0.9954 0.1917 0.2500
```

Most intense lines, 2θ from 10° to 80°, sorted by position:
2θ (°)	intensity	h k l
16.17	26.3	1 1 1
17.73	21.7	2 0 1

Meaning, today is day 1.

Wipe everything you have done away.

Your degrees, certificates, accomplishments, accolades, relationships, ALL OF IT.

Who & what would you place back on the board of life?

And why would you place them back on the board?

The reason I recommend doing this is because when we give ourselves a clean slate to work with, we typically know the true path for us.

Yet, the path is typically cloudy for most because they are attached of letting go of things on their life board. When given the permission to literally LET EVERYTHING GO though... clarity is found.

The first step to being less busy is not to do more lol. You wouldn't believe how many people erase things only to add more (hint: that use to be me).

As we approach another new year, I want you to start with a clean slate.

What do you want to add back to the 2022 board though?

Have good reasons behind your WHY, then literally say NO to everything else that tries to take up space on your sacred board of life.



p.s. today I am grateful for the mentors, books, and podcasts that have shown me the light when it comes to what a "wealthy" life truly looks like.
